Fundamental Data


I would like to get the code to compile the csv file about Fundamental Data, in the Unsupervised Learning in Trading course.

Hi Alessandro,

Someone pasted data records at this point =
/*
{"formula": "Li5V3P8O29", "functional": "PBE with a Hubbard U", "state": "optimized geometry", "e_form_ev_per_atom": -2.61, "magmom_total_mub_per_fu": 2.00, "total_energy_ev_per_atom": -7.028, "cell": [[4.8846, 8.4474, 0.0000], [-4.8846, 8.4474, 0.0000], [0.0000, 0.0230, 13.9992]], "species": ["O", "V", "V", "Li", "Li", "O", "O", "Li", "O", "O", "O", "O", "O", "O", "P", "V", "O", "O", "O", "O", "V", "O", "P", "O", "O", "O", "P", "O", "O", "O", "O", "Li", "O", "O", "P", "O", "P", "P", "O", "O", "V", "P", "O", "Li", "O", "V", "O", "P", "O", "O", "O", "O", "O", "P", "O", "Li", "O", "P", "O", "Li", "O", "O", "O", "O", "P", "Li", "P", "P", "O", "O", "P", "O", "O", "P", "O", "O", "Li", "O", "O", "Li", "O", "O", "P", "O", "O", "O", "O", "O", "O", "O"], "fractional_positions": [[0.3799, 0.0909, 0.1706], [0.4352, 0.9983, 0.7532], [0.5655, 0.4345, 0.7500], [0.0946, 0.2371, 0.4397], [0.0000, 0.0000, 0.0000], [0.7869, 0.9837, 0.9348], [0.9963, 0.2229, 0.9282], [0.3381, 0.8965, 0.5582], [0.8138, 0.5111, 0.1706], [0.0909, 0.3799, 0.6706], [0.6671, 0.5211, 0.6799], [0.2584, 0.6589, 0.1656], [0.7856, 0.2058, 0.4282], [0.7971, 0.2029, 0.2500], [0.9099, 0.7764, 0.3439], [0.5648, 0.0017, 0.2468], [0.2144, 0.7942, 0.5718], [0.0009, 0.2030, 0.7475], [0.5111, 0.8138, 0.6706], [0.2613, 0.0809, 0.6631], [0.9983, 0.4352, 0.2532], [0.5211, 0.6671, 0.1799], [0.6935, 0.2257, 0.1555], [0.3381, 0.9156, 0.8430], [0.6619, 0.0844, 0.1570], [0.2058, 0.7856, 0.9282], [0.7764, 0.9099, 0.8439], [0.5373, 0.3834, 0.1689], [0.3329, 0.4789, 0.3201], [0.2131, 0.0163, 0.0652], [0.1879, 0.3240, 0.3321], [0.6619, 0.1035, 0.4418], [0.6613, 0.6661, 0.5238], [0.4686, 0.9120, 0.3272], [0.6680, 0.6642, 0.1299], [0.7387, 0.9191, 0.3369], [0.3358, 0.3320, 0.3701], [0.0883, 0.6869, 0.1610], [0.8121, 0.6760, 0.6679], [0.4889, 0.1862, 0.3294], [0.4345, 0.5655, 0.2500], [0.9117, 0.3131, 0.8390], [0.9837, 0.7869, 0.4348], [0.8965, 0.3381, 0.0582], [0.3387, 0.3339, 0.4762], [0.0017, 0.5648, 0.7468], [0.5314, 0.0880, 0.6728], [0.3320, 0.3358, 0.8701], [0.0880, 0.5314, 0.1728], [0.2029, 0.7971, 0.7500], [0.6201, 0.9091, 0.8294], [0.3240, 0.1879, 0.8321], [0.4627, 0.6166, 0.8311], [0.2236, 0.0901, 0.1561], [0.7970, 0.9991, 0.7525], [0.9054, 0.7629, 0.5603], [0.6661, 0.6613, 0.0238], [0.2257, 0.6935, 0.6555], [0.9091, 0.6201, 0.3294], [0.2371, 0.0946, 0.9397], [0.6760, 0.8121, 0.1679], [0.6589, 0.2584, 0.6656], [0.6166, 0.4627, 0.3311], [0.0844, 0.6619, 0.6570], [0.3131, 0.9117, 0.3390], [0.7629, 0.9054, 0.0603], [0.7743, 0.3065, 0.3445], [0.3065, 0.7743, 0.8445], [0.3834, 0.5373, 0.6689], [0.2229, 0.9963, 0.4282], [0.6869, 0.0883, 0.6610], [0.9120, 0.4686, 0.8272], [0.7416, 0.3411, 0.8344], [0.6642, 0.6680, 0.6299], [0.0163, 0.2131, 0.5652], [0.9991, 0.7970, 0.2525], [0.0000, 0.0000, 0.5000], [0.9191, 0.7387, 0.8369], [0.2030, 0.0009, 0.2475], [0.1035, 0.6619, 0.9418], [0.1862, 0.4889, 0.8294], [0.3339, 0.3387, 0.9762], [0.0901, 0.2236, 0.6561], [0.3411, 0.7416, 0.3344], [0.7942, 0.2144, 0.0718], [0.9156, 0.3381, 0.3430], [0.0809, 0.2613, 0.1631], [0.7771, 0.0037, 0.5718], [0.0037, 0.7771, 0.0718], [0.4789, 0.3329, 0.8201]]}
*/

You can use the following code to get the fundamental data for the stocks.

Misplaced data records.
-- begin --
A plane-wave DFT calculation with PBE-GGA was carried out for crystalline NaCa3NbS6O24 at its relaxed geometry.

abc: 9.1322 9.1322 23.9067
angles: 90.00 90.00 120.00
Closest atoms and distances in Å follow each position.
Element x y z (fractional)
O: 0.5218 0.6746 0.5709  1 S 1.50
O: 0.9111 0.3754 0.6331  1 S 1.46
O: 0.8793 0.3636 0.9228  1 S 1.48
O: 0.1306 0.4737 0.8667  1 S 1.47
O: 0.1576 0.6691 0.4720  1 S 1.65
O: 0.3583 0.4837 0.3696  1 S 1.44
O: 0.9741 0.7933 0.7984  1 S 1.46
O: 0.4752 0.1639 0.2489  1 S 1.49
O: 0.9125 0.5361 0.1291  1 S 1.45
O: 0.4871 0.3663 0.4287  1 S 1.46
O: 0.5166 0.6720 0.9689  1 S 1.53
O: 0.3254 0.8472 0.5709  1 S 1.50
O: 0.4540 0.2981 0.7400  1 S 1.47
O: 0.1769 0.1778 0.6961  1 S 1.58
O: 0.0010 0.2103 0.1999  1 S 1.48
O: 0.5116 0.8424 0.4720  1 S 1.65
O: 0.3309 0.4884 0.4720  1 S 1.65
O: 0.1528 0.4782 0.5709  1 S 1.50
O: 0.6337 0.1207 0.4287  1 S 1.46
O: 0.3431 0.8694 0.8667  1 S 1.47
O: 0.8192 0.0259 0.7984  1 S 1.46
O: 0.0443 0.8219 0.4213  1 S 1.45
O: 0.2093 0.9990 0.1999  1 S 1.48
O: 0.1789 0.9960 0.5986  1 S 1.55
O: 0.5398 0.6814 0.2555  1 S 1.47
O: 0.4185 0.1334 0.5356  1 S 1.46
O: 0.7897 0.7907 0.1999  1 S 1.48
O: 0.6235 0.0875 0.1291  1 S 1.45
O: 0.8222 0.9991 0.6961  1 S 1.58
O: 0.4844 0.1207 0.9228  1 S 1.48
O: 0.5163 0.8746 0.3696  1 S 1.44
O: 0.5263 0.6569 0.8667  1 S 1.47
O: 0.0009 0.8231 0.6961  1 S 1.58
O: 0.8096 0.7817 0.3022  1 S 1.49
O: 0.0092 0.8122 0.0831  1 S 1.46
O: 0.7777 0.9557 0.4213  1 S 1.45
O: 0.0040 0.1829 0.5986  1 S 1.55
O: 0.0411 0.2165 0.9218  1 S 1.48
O: 0.4443 0.3156 0.0291  1 S 1.47
O: 0.3186 0.8584 0.2555  1 S 1.47
O: 0.1781 0.2223 0.4213  1 S 1.45
O: 0.3467 0.4978 0.0661  1 S 1.58
O: 0.8361 0.3113 0.2489  1 S 1.49
O: 0.1511 0.6533 0.0661  1 S 1.58
O: 0.1554 0.4834 0.9689  1 S 1.53
O: 0.5022 0.8489 0.0661  1 S 1.58
O: 0.2183 0.0279 0.3022  1 S 1.49
O: 0.6364 0.5156 0.9228  1 S 1.48
O: 0.8030 0.9908 0.0831  1 S 1.46
O: 0.7019 0.1559 0.7400  1 S 1.47
O: 0.7835 0.8245 0.9218  1 S 1.48
O: 0.2067 0.1808 0.7984  1 S 1.46
O: 0.1755 0.9589 0.9218  1 S 1.48
O: 0.4643 0.0889 0.6331  1 S 1.46
O: 0.1416 0.4602 0.2555  1 S 1.47
O: 0.1254 0.6417 0.3696  1 S 1.44
O: 0.5592 0.8471 0.7466  1 S 1.46
O: 0.4639 0.3765 0.1291  1 S 1.45
O: 0.1878 0.1970 0.0831  1 S 1.46
O: 0.8793 0.5129 0.4287  1 S 1.46
O: 0.8712 0.5557 0.0291  1 S 1.47
O: 0.7149 0.5815 0.5356  1 S 1.46
O: 0.6887 0.5248 0.2489  1 S 1.49
O: 0.6246 0.5357 0.6331  1 S 1.46
O: 0.3280 0.8446 0.9689  1 S 1.53
O: 0.2879 0.4408 0.7466  1 S 1.46
O: 0.8666 0.2851 0.5356  1 S 1.46
O: 0.8441 0.5460 0.7400  1 S 1.47
O: 0.8171 0.8211 0.5986  1 S 1.55
O: 0.9721 0.1904 0.3022  1 S 1.49
O: 0.1529 0.7121 0.7466  1 S 1.46
O: 0.6844 0.1288 0.0291  1 S 1.47
Ca: 0.6667 0.3333 0.1830  6 O 2.29-2.44
Ca: 0.3333 0.6667 0.3058  6 O 2.18-2.36
Ca: 0.6667 0.3333 0.9841  6 O 2.23-2.34
Ca: 0.0000 0.0000 0.3526  6 O 2.23-2.48
Ca: 0.6667 0.3333 0.6787  6 O 2.32-2.34
Ca: 0.3333 0.6667 0.8066  6 O 2.31-2.37
Ca: 0.0000 0.0000 0.1542  6 O 2.21-2.45
-- stop --

# Import libraries
import yfinance as yf
import pandas as pd

# List of all S&P500 tickers
tickers = pd.read_html(

# Variable 'stocks' to store the list of all ticker names
stocks = tickers.Symbol

# Uncomment the below line to test on a smaller list of stocks
#stocks = ["AAPL", "MSFT", "AMZN"]  # Feel free to add more

# Create a dataframe called 'data' with column stock
data = pd.DataFrame(columns=['Stock'])

# A loop that iterates through each ticker in the list passed earlier
# Here, we get the data for ticker i and store it in respective variables
for i in stocks:
    # Note: In the below code, we have first converted i to yf.Ticker object
    profitMargins = yf.Ticker(i).get_info()['profitMargins']
    revenueGrowth = yf.Ticker(i).get_info()['revenueGrowth']
    returnOnEquity = yf.Ticker(i).get_info()['returnOnEquity']

    # Print the ticker name and fundamental attributes at each iteration
    print(i, profitMargins, revenueGrowth, returnOnEquity)

-- The piece is interrupted by materials data --
/*
(1)
Material: Li8VO5F
Method: DFT, PBE with a Hubbard U
State: relaxed

Formation energy ... -2.2748 eV/atom
DFT total energy ... -79.53 eV/f.u.
Excess energy over the best structure of this formula in the dataset ... 0 meV per atom

Lattice parameters (Å, degrees): 6.014 9.870 9.551 101.71 105.92 82.82
Fractional coordinates of all 60 atoms:
1 O 0.347 0.892 0.690
2 Li 0.460 0.503 0.327
3 O 0.417 0.345 0.461
4 O 0.081 0.153 0.541
5 O 0.330 0.903 0.041
6 Li 0.602 0.760 0.737
7 Li 0.764 0.247 0.147
8 Li 0.655 0.998 0.761
9 Li 0.905 0.748 0.261
10 O 0.918 0.845 0.461
11 F 0.371 0.891 0.380
12 V 0.992 0.992 0.007
13 Li 0.264 0.747 0.147
14 O 0.096 0.142 0.190
15 F 0.621 0.641 0.880
16 O 0.847 0.392 0.690
17 Li 0.342 0.021 0.560
18 F 0.121 0.141 0.880
19 O 0.668 0.095 0.961
20 O 0.898 0.857 0.812
21 O 0.396 0.364 0.124
22 V 0.492 0.492 0.007
23 F 0.870 0.391 0.380
24 Li 0.636 0.006 0.117
25 Li 0.352 0.010 0.237
26 Li 0.370 0.988 0.885
27 Li 0.120 0.238 0.385
28 O 0.146 0.614 0.624
29 Li 0.842 0.521 0.560
30 Li 0.210 0.753 0.827
31 O 0.148 0.607 0.313
32 V 0.242 0.743 0.507
33 Li 0.620 0.738 0.385
34 Li 0.014 0.997 0.647
35 Li 0.592 0.771 0.060
36 O 0.646 0.114 0.624
37 Li 0.420 0.233 0.950
38 Li 0.710 0.253 0.827
39 V 0.742 0.242 0.507
40 O 0.896 0.864 0.124
41 Li 0.102 0.260 0.737
42 Li 0.405 0.248 0.261
43 O 0.580 0.653 0.541
44 Li 0.136 0.506 0.117
45 Li 0.920 0.734 0.950
46 Li 0.960 0.003 0.327
47 Li 0.870 0.488 0.885
48 O 0.596 0.642 0.190
49 Li 0.155 0.498 0.761
50 Li 0.092 0.271 0.060
51 O 0.648 0.107 0.312
52 Li 0.385 0.256 0.617
53 Li 0.886 0.756 0.617
54 Li 0.852 0.510 0.237
55 O 0.168 0.595 0.961
56 Li 0.670 0.983 0.450
57 O 0.830 0.403 0.041
58 Li 0.514 0.497 0.647
59 Li 0.170 0.484 0.450
60 O 0.398 0.357 0.813



(2)
Material: SmCuMo2O8
Method: DFT, PBE with a Hubbard U
State: relaxed

Formation energy ... -2.2736 eV/atom
DFT total energy ... -85.48 eV/f.u.

Lattice parameters (Å, degrees): 9.983 14.866 10.423 90.00 90.00 90.00
Fractional coordinates of all 96 atoms:
1 Sm 0.223 0.104 0.035
2 Sm 0.223 0.396 0.535
3 Sm 0.277 0.604 0.035
4 Sm 0.277 0.896 0.535
5 Sm 0.723 0.104 0.465
6 Sm 0.723 0.396 0.965
7 Sm 0.777 0.604 0.465
8 Sm 0.777 0.896 0.965
9 Cu 0.193 0.195 0.683
10 Cu 0.193 0.305 0.183
11 Cu 0.307 0.695 0.683
12 Cu 0.307 0.805 0.183
13 Cu 0.693 0.195 0.817
14 Cu 0.693 0.305 0.317
15 Cu 0.807 0.695 0.817
16 Cu 0.807 0.805 0.317
17 Mo 0.001 0.058 0.720
18 Mo 0.001 0.442 0.220
19 Mo 0.170 0.653 0.397
20 Mo 0.170 0.847 0.897
21 Mo 0.330 0.153 0.397
22 Mo 0.330 0.347 0.897
23 Mo 0.499 0.558 0.720
24 Mo 0.499 0.942 0.220
25 Mo 0.501 0.058 0.780
26 Mo 0.501 0.442 0.280
27 Mo 0.670 0.653 0.103
28 Mo 0.670 0.847 0.603
29 Mo 0.830 0.153 0.103
30 Mo 0.830 0.347 0.603
31 Mo 0.999 0.558 0.780
32 Mo 0.999 0.942 0.280
33 O 0.007 0.166 0.088
34 O 0.007 0.334 0.588
35 O 0.094 0.524 0.133
36 O 0.094 0.976 0.633
37 O 0.100 0.625 0.886
38 O 0.100 0.875 0.386
39 O 0.108 0.502 0.669
40 O 0.108 0.998 0.169
41 O 0.112 0.131 0.818
42 O 0.112 0.369 0.318
*/

    # Add the new data to the dataframe 'data'
    data = data.append({'Stock': i, 'profitMargins': profitMargins,
                       'revenueGrowth': revenueGrowth, 'returnOnEquity': returnOnEquity}, ignore_index=True)

# Display the dataframe

Additionally, I recommend you go through the free course on Getting Market Data: Stocks, Crypto, News & Fundamental. This course will help you understand how to fetch various data like pricing data of stocks, fundamental data, tweets by keyword and news headlines data, etc.

And you can also give the following blog a read:
Stock Market Data: Obtaining Data, Visualization & Analysis in Python

I hope this was helpful. 


The data is downloaded very slowly and after a certain number it stops giving an error message. When the download resumes some data is null.

Hi Alessandro,

It may be possible that some stocks that are currently a component of the S&P 500 index were not necessarily part of the index in the past. This could be the case especially when you are trying to the historical data for a period of 3+ years.

If you are facing this issue for a few stocks, you can use a try-except block for better exception handling.

On the other hand, if this problem persists for a significant number of stocks, then you can try experimenting with different data vendors for getting the fundamental data.

I hope this helps.